Recently, President Trump said that the United States would designate Antifa as a terrorist organization. It remains to be seen whether he will carry through with this statement, as he has often stepped back from policy initiatives announced via Twitter, but there could be unintended consequences of doing so prematurely. It is not clear what role Antifa has played in recent protests and how that provides a transparent rationale for why it should be designated as a terrorist organization. Such an action could also raise further questions about the definitional value and apolitical nature of the U.S. terrorist organization list. Using recent demonstrations as the impetus for such a designation could further fuel extremist violence and undermine the U.S. legal framework for counterterrorism investigations.
### Records of crystals, kept here for reference
********
# 1
The following is a calculated powder diffraction line list of Ce6MnPb2. It was derived from a structure optimized by DFT (GGA-PBE), using Cu Kα.
Kinematic intensities with the Lorentz-polarization factor, no thermal factor.

Most intense lines, 5° ≤ 2θ ≤ 70°, sorted by position:
2θ/deg	d [Å]	I_rel
25.44	3.502	5
25.80	3.454	3
30.27	2.953	4
31.43	2.846	100
35.75	2.512	22
36.80	2.442	38
40.18	2.244	4
52.25	1.751	27
53.03	1.727	12
61.55	1.507	14
62.96	1.476	23
65.61	1.423	13

Crystal structure
```
9
Lattice="-3.4514 3.4557 5.0233 3.4514 -3.4557 5.0233 3.4514 3.4557 -5.0233" Properties=species:S:1:pos:R:3 pbc="T T T"
Ce 0.0000 0.0000 2.3739
Ce 1.8999 1.8895 0.0000
Ce 5.0029 1.8895 0.0000
Ce -1.5515 1.5662 5.0233
Ce 1.5515 1.5662 5.0233
Ce 0.0000 0.0000 7.6727
Mn 0.0000 0.0000 0.0000
Pb 3.4514 0.0000 2.5182
Pb 0.0000 3.4557 2.5051
```

---

# 2
The following is a calculated powder diffraction line list of Ce3MnPd12. It was derived from a structure optimized by DFT (GGA-PBE), using Cu Kα.
Kinematic intensities with the Lorentz-polarization factor, no thermal factor.

Most intense lines, 5° ≤ 2θ ≤ 70°, sorted by position:
2θ/deg	d [Å]	I_rel
5.45	16.222	1
22.24	3.997	1
24.21	3.677	1
27.19	3.279	1
34.95	2.567	2
38.00	2.368	100
38.86	2.317	1
43.90	2.062	34
44.69	2.028	15
60.05	1.541	2
63.83	1.458	11
64.44	1.446	19

Crystal structure
```
16
Lattice="4.1246 0.0000 0.0000 0.0000 4.1246 0.0000 0.0000 0.0000 16.2224" Properties=species:S:1:pos:R:3 pbc="T T T"
Ce 0.0000 0.0000 0.0000
Ce 0.0000 0.0000 4.2324
Ce 0.0000 0.0000 11.9899
Mn 0.0000 0.0000 8.1112
Pd 0.0000 2.0623 2.0852
Pd 0.0000 2.0623 6.2131
Pd 0.0000 2.0623 10.0093
Pd 0.0000 2.0623 14.1372
Pd 2.0623 0.0000 2.0852
Pd 2.0623 0.0000 6.2131
Pd 2.0623 0.0000 10.0093
Pd 2.0623 0.0000 14.1372
Pd 2.0623 2.0623 0.0000
Pd 2.0623 2.0623 4.1439
Pd 2.0623 2.0623 8.1112
Pd 2.0623 2.0623 12.0785
```


Simulated powder diffraction line list of Ba2Ac2Au3 for a wavelength of 1.5418 Å, from a GGA-PBE-relaxed structure.
Lines closer than 0.1° are merged.

Structural model:
```
Ba2Ac2Au3
1.0
-4.972 4.972 4.972
4.972 -4.972 4.972
4.972 4.972 -4.972
Ba Ac Au
4 4 6
direct
0.000 0.868 0.500 Ba
0.500 0.000 0.868 Ba
0.632 0.632 0.632 Ba
0.868 0.500 0.000 Ba
0.000 0.376 0.500 Ac
0.124 0.124 0.124 Ac
0.376 0.500 0.000 Ac
0.500 0.000 0.376 Ac
0.149 0.750 0.899 Au
0.250 0.601 0.351 Au
0.351 0.250 0.601 Au
0.601 0.351 0.250 Au
0.750 0.899 0.149 Au
0.899 0.149 0.750 Au
```

Main lines, sorted by position (2θ from 10° to 90°):
d 3.145, 28.38°, I 100; d 2.658, 33.72°, I 63; d 2.224, 40.57°, I 14; d 2.120, 42.64°, I 12; d 2.030, 44.64°, I 12; d 1.950, 46.57°, I 28; d 1.613, 57.09°, I 26; d 1.572, 58.72°, I 13; d 1.535, 60.32°, I 15; d 1.353, 69.45°, I 19


Simulated powder diffraction line list of EuDyPd4 for a wavelength of 1.5418 Å, from a GGA-PBE-relaxed structure.
Lines closer than 0.1° are merged.

Structural model:
```
EuDyPd4
1.0
0.000 3.878 3.878
3.878 0.000 3.878
3.878 3.878 0.000
Eu Dy Pd
1 1 4
direct
0.000 0.000 0.000 Eu
********
Extremists of all stripes feed off conspiracy theories, and events over the last few days have all the makings of a good one. Unanswered questions abound about the death of George Floyd and the resulting protests and riots. In Minnesota and Pittsburgh, questions have been raised about whether protests were hijacked by organized groups who instigated violence to escalate events. However, multiple theories have been put forth as to who—including whether both far-right and far-left extremists—are involved.
The video depicting Floyd’s death suggests a particularly egregious use of force, with little ambiguity about whether police had alternative choices in their response. Tensions are on edge with coronavirus lockdowns, and the pandemic has disproportionally affected African American communities both in loss of life and economic effect. As learned in the Arab Spring and Tunisia, sometimes a simple spark will prove to be the critical one. All of these factors could explain why we have seen a more intense response in the last few days than in the past. But at the same time, it is not conspiratorial to wonder why rioting and looting have been so severe compared to the all too frequent previous incidents of police brutality captured on video, especially when there have already been indications that white supremacist groups are using coronavirus to recruit, sow distrust in government, and directly harm those they hate.
**Crystal structures, as found in the file**
┌──
Structure and computed powder diffraction line list of NdAlSe3 (a DFT-relaxed cell (GGA-PBE, Alexandria); CuKα).
Intensities are scaled so that the largest is 100.

The 10 most intense peaks (10 to 90 degrees two-theta), low angle first:
13.7 deg, rel. 83
23.8 deg, rel. 38
30.3 deg, rel. 84
30.9 deg, rel. 100
31.2 deg, rel. 99
31.5 deg, rel. 60
36.5 deg, rel. 54
40.8 deg, rel. 47
41.4 deg, rel. 48
46.7 deg, rel. 46

Structural model:
```
NdAlSe3
1.0
6.447 -4.581 0.000
6.447 4.581 0.000
-0.084 0.000 4.422
Nd Al Se
2 2 6
Direct
0.234 0.234 0.257
0.766 0.766 0.743
0.313 0.687 0.500
0.687 0.313 0.500
0.054 0.662 0.249
0.338 0.946 0.751
0.398 0.398 0.755
0.602 0.602 0.245
0.662 0.054 0.249
0.946 0.338 0.751
```

~~~~~

# 1
Starting from a GGA-PBE-relaxed structure, the PXRD pattern of BaSnAsO was calculated for λ = 1.5418 Å (Cu Kα).
Peak positions follow from Bragg's law for the DFT cell and can differ from measured ones.

Structural model:
```
data_BaSnAsO
_chemical_formula_sum 'Ba2 Sn2 As2 O2'
_space_group_name_H-M_alt 'P 1'
_space_group_IT_number 1
_cell_length_a 4.6207
_cell_length_b 4.6207
_cell_length_c 12.0005
_cell_angle_alpha 90.00
_cell_angle_beta 90.00
_cell_angle_gamma 120.00
loop_
_space_group_symop_operation_xyz
'x,y,z'
loop_
_atom_site_label
_atom_site_fract_x
_atom_site_fract_y
_atom_site_fract_z
_atom_site_occupancy
Ba1 0.3333 0.6667 0.0000 1
Ba2 0.6667 0.3333 0.5000 1
Sn1 0.0000 0.0000 0.2307 1
Sn2 0.0000 0.0000 0.7307 1
As1 0.3333 0.6667 0.2886 1
As2 0.6667 0.3333 0.7886 1
O1 0.0000 0.0000 0.0587 1
O2 0.0000 0.0000 0.5587 1
```

Most intense lines, 2θ = 10–90°, sorted by position:
Position (°2θ), Rel. int.
23.43, 87
26.78, 99
31.63, 81
38.98, 100
49.82, 67
51.05, 54

# 2
Starting from a GGA-PBE-relaxed structure, the PXRD pattern of ErTm3Zr was calculated for λ = 1.5418 Å (Cu Kα).
Peak positions follow from Bragg's law for the DFT cell and can differ from measured ones.

Structural model:
```
data_ErTm3Zr
_chemical_formula_sum 'Er2 Tm6 Zr2'
_space_group_name_H-M_alt 'P 1'
_space_group_IT_number 1
_cell_length_a 6.6446
_cell_length_b 6.6446
_cell_length_c 8.8687
_cell_angle_alpha 98.46
_cell_angle_beta 98.46
_cell_angle_gamma 127.31
loop_
_space_group_symop_operation_xyz
'x,y,z'
loop_
_atom_site_label
_atom_site_fract_x
_atom_site_fract_y
_atom_site_fract_z
_atom_site_occupancy
Er1 0.1317 0.8683 0.0000 1
Er2 0.8683 0.1317 0.0000 1
Tm1 0.1946 0.1946 0.3892 1
Tm2 0.2616 0.5315 0.7932 1
Tm3 0.4685 0.7384 0.2068 1
Tm4 0.5315 0.2616 0.7932 1
Tm5 0.7384 0.4685 0.2068 1
Tm6 0.8054 0.8054 0.6108 1
Zr1 0.2501 0.7499 0.5000 1
Zr2 0.7499 0.2501 0.5000 1
```

Most intense lines, 2θ = 10–90°, sorted by position:
Position (°2θ), Rel. int.
30.31, 34
31.59, 100
31.66, 46
31.90, 41
35.61, 22
54.68, 31

# 3
Starting from a GGA-PBE-relaxed structure, the PXRD pattern of Pr2NiAs3Rh4 was calculated for λ = 1.5418 Å (Cu Kα).
Peak positions follow from Bragg's law for the DFT cell and can differ from measured ones.

Structural model:
```
data_Pr2NiAs3Rh4
└──
**Here the article continues**
Thankfully, the Justice Department has stated that the FBI will investigate whether there was an organized effort to push protestors into violence. Such an effort will be critical both to determine the truth about what has happened and to identify whether any domestic violent extremist groups have the organization and resources to have coordinated an effort in multiple cities around the country.
Also critical is the need to wait until facts have been established that indicate changes to policy. Conspiracy theories can thrive in an environment where truth is murky or simply unknown. The more facts that can be established about events, the more difficult it may be for alternative explanations that serve the interest of extreme groups. In particular, designating Antifa without the facts could cultivate a conspiracy theory that Antifa was “set up” by white supremacist groups in league with the government. This plays into a dangerous narrative that could both be leveraged by left-wing extremists to garner recruits and which could fuel further violence.
Antifa’s designation could raise broader questions about U.S. counterterrorism laws. The United States has no list of domestic terrorist organizations, only a Foreign Terrorist Organizations (FTO) list. Antifa does not clearly meet the definition of the F, the T, or the O—it is primarily domestic, it is unclear whether their acts of violence rise to crimes of terrorism, and it is a loosely oriented movement.
None of these issues are necessarily prohibitive in designating it as an FTO. Groups like Antifa clearly more closely meet the definition of domestic terrorism, but the only requirement for being considered “foreign” terrorism would be to have some means that transcends national boundaries. Antifa protestors have been active in the UK and elsewhere, and even its name—anti-fascist—suggests an international orientation against the roots of white supremacy groups in past Fascist governments in Germany, Austria, and Italy. This would likely be a sufficient transnational angle to designate Antifa, given there is no clear standard.
Similarly, there is no requirement for how structured or codified an organization must be for designation. Counterterrorism laws have been used against Americans even when they have had no direct ties to FTOs, for example when simply acting consistently with the ideology of an FTO. So it is not unreasonable to think that Antifa could be both designated, and used as the justification for prosecutions, even if it has no card-carrying members.
Misplaced records of crystals
/*
No. 1
Simulated powder diffractogram
Compound: Co2Ni4Rh
Radiation: Cu Kα, 1.54184 Å
Structure: a cell relaxed with GGA-PBE
Peak positions follow from Bragg's law for the DFT cell and can differ from measured ones.

Largest 10 diffraction maxima, in order of rising 2θ, 15° ≤ 2θ ≤ 90°:
- hkl 1 1 0, 18.35°, d = 4.836 Å, I 18
- hkl 1 1 2, 30.73°, d = 2.909 Å, I 26
- hkl 2 2 2, 45.00°, d = 2.014 Å, I 100
- hkl 1 3 2, 45.35°, d = 2.000 Å, I 17
- hkl 3 1 0, 45.63°, d = 1.988 Å, I 12
- hkl 0 4 0, 46.65°, d = 1.947 Å, I 26
- hkl 0 0 4, 50.10°, d = 1.821 Å, I 20
- hkl 1 3 3, 53.79°, d = 1.704 Å, I 6
- hkl 0 4 4, 70.85°, d = 1.330 Å, I 12
- hkl 2 6 2, 85.41°, d = 1.137 Å, I 12

Crystal structure
```
data_Co2Ni4Rh
_cell_length_a 6.1689
_cell_length_b 7.7884
_cell_length_c 7.2835
_cell_angle_alpha 90.00
_cell_angle_beta 90.00
_cell_angle_gamma 90.00
_space_group_name_H-M_alt 'C c c m'
_space_group_IT_number 66
_space_group_name_Hall '-C 2 2c'
loop_
_atom_site_label
_atom_site_type_symbol
_atom_site_fract_x
_atom_site_fract_y
_atom_site_fract_z
Co1 Co 0.0386 0.2314 0.0000
Ni1 Ni 0.2016 0.4873 0.5000
Ni2 Ni 0.2500 0.2500 0.2780
Rh1 Rh 0.0000 0.0000 0.2500
```

No. 2
Simulated powder diffractogram
Compound: InSnAu4
Radiation: Cu Kα, 1.54184 Å
Structure: a cell relaxed with GGA-PBE
Peak positions follow from Bragg's law for the DFT cell and can differ from measured ones.

Largest 10 diffraction maxima, in order of rising 2θ, 15° ≤ 2θ ≤ 90°:
- hkl 2 0 -1, 28.55°, d = 3.126 Å, I 57
- hkl 1 1 1, 33.88°, d = 2.646 Å, I 67
- hkl 3 1 -1, 35.13°, d = 2.555 Å, I 73
- hkl 2 2 0, 35.46°, d = 2.532 Å, I 100
- hkl 6 0 0, 36.78°, d = 2.444 Å, I 93
- hkl 3 1 1, 39.64°, d = 2.274 Å, I 36
- hkl 4 0 1, 40.16°, d = 2.245 Å, I 43
- hkl 4 2 0, 41.56°, d = 2.173 Å, I 80
- hkl 5 1 -1, 41.81°, d = 2.161 Å, I 34
- hkl 2 2 1, 46.91°, d = 1.937 Å, I 33

Crystal structure
```
data_InSnAu4
_cell_length_a 14.8486
_cell_length_b 5.3954
_cell_length_c 3.2494
_cell_angle_alpha 90.00
_cell_angle_beta 99.08
_cell_angle_gamma 90.00
_space_group_name_H-M_alt 'C 1 m 1'
_space_group_IT_number 8
_space_group_name_Hall 'C -2y'
loop_
_atom_site_label
_atom_site_type_symbol
_atom_site_fract_x
_atom_site_fract_y
_atom_site_fract_z
In1 In 0.0000 0.0000 0.0000
Sn1 Sn 0.2971 0.5000 0.2309
Au1 Au 0.1472 0.2499 0.6283
Au2 Au 0.3188 0.0000 0.8173
Au3 Au 0.4775 0.0000 0.4151
```

No. 3
Simulated powder diffractogram
Compound: Ga2HPd6
Radiation: Cu Kα, 1.54184 Å
Structure: a cell relaxed with GGA-PBE
Peak positions follow from Bragg's law for the DFT cell and can differ from measured ones.

Largest 10 diffraction maxima, in order of rising 2θ, 15° ≤ 2θ ≤ 90°:
- hkl 2 0 0, 36.89°, d = 2.436 Å, I 8
- hkl 2 0 1, 38.27°, d = 2.352 Å, I 44
- hkl 0 0 4, 40.02°, d = 2.253 Å, I 34
- hkl 2 0 2, 42.17°, d = 2.143 Å, I 100
- hkl 2 0 3, 48.09°, d = 1.892 Å, I 23
- hkl 2 0 5, 64.29°, d = 1.449 Å, I 9
- hkl 2 2 0, 66.47°, d = 1.407 Å, I 22
- hkl 2 0 6, 74.17°, d = 1.278 Å, I 18
- hkl 2 2 4, 80.50°, d = 1.193 Å, I 26
*/
Here the page continues
The current FTO list generally focuses on jihadist terrorist groups, and whether it should be expanded to be more inclusive of other extreme groups has been seriously debated for the last few years. The Trump administration for the first time designated a white supremacist group in April, but it was also clearly a foreign group. Designating a largely domestic organization as an FTO would likely invite legal challenge. The U.S. legal counterterrorism framework is fragile, and it has been successfully challenged before. It may have been challenged harder and earlier had the affected U.S. population been larger and more influential.
Terrorism laws give intelligence and law enforcement authorities access to a suite of surveillance tools they would not have otherwise. They also make certain actions that would otherwise be protected speech or assembly illegal; doing so could have significant short- and long-term political implications that we do not understand. This alone would justify concerns about their potential for abuse.
There are hard questions about how terrorist laws should be structured, ones we frankly aren’t well positioned to answer. More objective analysis and a robust political debate could help people to understand the trade-offs between creating a domestic terrorism statute, expanding the use of the foreign terrorism statue, and moving away from terrorism laws altogether. Designating Antifa may be intended to be a discrete act, but the precedent it would set could bring major strategic changes to how the United States uses counterterrorism laws, with uncertainties about whether those changes better serve national security.
Heather Williams is a senior policy researcher at the nonprofit, nonpartisan RAND Corporation, as well as associate director of the Strategy, Policy, and Operations Program (SPOP) within the Homeland Security Operational Analysis Center (HSOAC).
This commentary originally appeared on RealClearPolicy on June 22, 2020.